Check appointment reminder replies

While checking for replies to Bp Comms appointment reminders you can cancel, move, edit, or change the status of related appointments.

If you have set up appointment confirmation, you should not need to manually update the appointment book based on patient replies. However, if a patient has replied with a non-standard response, you can use the Appointment Reminder Replies window to review such replies.

  1. From the appointment book, select Utilities > Check Appointment Reminder Replies. The Appointment Reminder Replies window is displayed.
  2. Bp Comms Appointment Reminder Replies

  3. Search for replies using the fields at the top left:
    • Appointment date range
    • Sent date range
    • Date range during which reply was received
    • Delivery status
  4. Filter the appointments shown using the check boxes at the top right:
    • Type text in Reply text to search for replies containing that text
    • Hide appointments when attendance already updated will only show appointments which have not been confirmed or declined
    • Hide appointments with no patient reply only shows appointment reminders that have been replied to by a patient
    • Hide deleted appointments removes deleted appointments from display.
  5. The middle section of the screen shows the appointment reminders that have been sent and the status. Select a message to see the sent text of the reminder and the reply text, if any.
  6. Click Check Replies to check for any new replies that have been received. Bp Premier will show all replies received, with the most recent at the top of the list.
  7. Tick the check box Check for replies when I open this window to check for replies automatically.
  8. Action appointments

    If the patient has replied 'Yes' or 'No' (or any acceptable reply that has been configured in SetupConfigurationAppt Reminders), appointment attendance status is automatically updated. Other responses will require manual update of appointment attendance status.

  9. To update the appointment associated with a reply, select the SMS reply from the list and click one of the action buttons along the bottom.
  10. Button



    Mark the appointment as attendance confirmed.

    Not attending

(Molecular data, as found in the file)
(1)
# C24H50BrIN3O5

A molecular structure, C24H50BrIN3O5 at a distorted geometry (ωB97M-V/def2-TZVPD, the OMol25 dataset).

**LUMO level**: -4.3 eV
**Gap between HOMO and LUMO**: 5.57 eV
**Maximum force**: 0.0367 hartree/bohr
**Total charge**: +1

Last column: Löwdin charge in e.
Positions of all 84 atoms, in Å:
C -0.76204 -0.16146 -2.40443  0.0240
C -1.78027 -1.01065 -2.54088  -0.1740
C -2.12396 -1.66267 -3.84560  -0.2342
C -2.16287 -3.20498 -3.74672  -0.0937
C -3.52328 -3.62424 -4.32280  -0.8179
I -3.24955 -4.54643 -6.28513  1.0326
O -4.25810 -4.54412 -3.60642  -0.1534
C -5.26199 -4.05629 -2.69932  -0.1775
C -4.75621 -3.19320 -1.55932  -0.2340
C -5.90311 -2.88687 -0.59654  -0.0845
C -4.17946 -2.34286 -4.66994  -0.0912
N -3.47067 -1.30396 -4.43420  0.0221
C -4.02133 0.03706 -4.83089  -0.5991
Br -2.96884 1.51289 -4.18982  0.8824
C -5.48923 0.15175 -4.38422  -0.2677
C -6.06327 1.57094 -4.38088  -0.1235
H -0.79231 0.68723 -1.72402  0.0584
H 0.10483 -0.25275 -3.05585  0.0860
H -2.37773 -1.29298 -1.67670  0.1078
H -1.35364 -1.38783 -4.56880  0.1603
H -1.34270 -3.66312 -4.28601  0.1005
H -2.15590 -3.55858 -2.71687  0.1288
H -6.07381 -3.55761 -3.24212  0.1294
H -5.70072 -4.96286 -2.28504  0.1418
H -3.92474 -3.67386 -1.04210  0.1248
H -4.40209 -2.23111 -1.94440  0.0820
H -5.58439 -2.17078 0.15920  0.0803
H -6.24876 -3.78807 -0.09190  0.0847
H -6.73941 -2.42686 -1.12607  0.0794
H -5.16074 -2.30346 -5.11988  0.1476
H -3.94257 0.08972 -5.91432  0.1151
H -6.08756 -0.45630 -5.06524  0.1077
H -5.56279 -0.29022 -3.38753  0.1154
H -5.60302 2.21137 -5.12959  0.0652
H -7.12516 1.51833 -4.61888  0.0829
H -5.98253 2.02281 -3.39603  0.0765
C -0.37264 5.16975 3.84525  -0.1139
O 0.14653 5.70520 2.64613  -0.1910
C 1.56443 5.69588 2.54111  -0.2115
C 2.05286 4.64944 1.56225  -0.2118
N 1.84732 3.29983 2.06813  -0.0436
C 2.01595 2.23025 1.09245  -0.1995
C 1.18560 2.24514 -0.18547  -0.2160
O -0.19877 1.97327 -0.01427  -0.2206
C -0.97334 3.05576 0.47419  -0.0862
H -1.41393 5.48014 3.91370  0.0897
H -0.33866 4.07383 3.86873  0.0733
H 0.16438 5.55078 4.71856  0.0902
H 2.02508 5.56062 3.52454  0.1237
H 1.86092 6.67728 2.16319  0.1240
H 3.12277 4.80431 1.39003  0.1266
H 1.53579 4.83009 0.61014  0.1024
H 0.92552 3.23512 2.47742  0.0670
H 1.80024 1.29154 1.61086  0.1214
H 3.07303 2.19234 0.80618  0.1168
H 1.56176 1.43150 -0.81236  0.1157
H 1.31842 3.16798 -0.76270  0.1167
H -0.63536 4.01207 0.06772  0.0916
H -0.96781 3.10394 1.56508  0.0744
H -2.00350 2.88446 0.15946  0.0869
C 5.90847 -4.14871 3.04450  -0.1146
O 4.69143 -3.54037 3.42370  -0.1933
C 4.68149 -2.96542 4.72432  -0.2148
C 4.71988 -1.45248 4.68137  -0.2184
N 6.00983 -0.95697 4.22735  -0.0495
C 6.05552 0.46025 3.88387  -0.1952
C 5.09242 1.00202 2.83345  -0.2335
O 5.35039 0.59396 1.50070  -0.1887
C 4.91892 -0.70945 1.17091  -0.1039
H 5.70261 -4.76849 2.17324  0.0882
H 6.67846 -3.41836 2.77119  0.0746
H 6.30227 -4.78501 3.84238  0.0894
H 5.50365 -3.36103 5.32874  0.1231
H 3.74241 -3.26762 5.19509  0.1213

    Mark the appointment as attendance declined.

    Reset attendance status

    Reset attendance to neither confirmed nor declined.

    Edit appointment

    Edit appointment details. Not all details can be changed.

    Cancel appt

    Cancel the appointment and supply a reason.

    Move appt

    Move the appointment to another slot.

    Appt status

    Change the status of the appointment, such as to 'Did not attend'.

  11. Click Close to close the reminder replies screen.

Appointment reminder replies in the appointment book

To display whether a patient has confirmed attendance, declined attendance, or neither declined or confirmed in the appointment book:

  1. From the Bp Premier home screen, select Setup > Configuration. The Configuration screen will appear.
  2. Click Appointments in the list of icons on the left.
  3. Tick the Automatically show attendance status on appointment book check box.
  4. Click Save.

Appointment attendance statuses will appear as green, red, or yellow dots against an appointment in the appointment book.

Last updated 23 July 2020